Job:
Find the line further down that holds "_space_group_name_H-M_alt 'P", then retype that line and all lines after it there.

Listing:
____________
# AgTeSe, optimized geometry, DFT PBE
# total DFT energy (no corrections)	-3.17	eV per atom
# formation energy without anion corrections	-0.006	eV/atom
# N(E_F)	1.5	states/eV/cell
# size of the total moment	0.0	μB/cell
# E above lowest polymorph	0.0170	eV/atom
data_AgTeSe
_cell_length_a 4.352
_cell_length_b 6.047
_cell_length_c 6.800
_cell_angle_alpha 75.71
_cell_angle_beta 73.97
_cell_angle_gamma 74.22
_space_group_name_H-M_alt 'P 1'
_space_group_IT_number 1
_space_group_name_Hall 'P 1'
loop_
_atom_site_label
_atom_site_fract_x
_atom_site_fract_y
_atom_site_fract_z
_atom_site_occupancy
Ag1 0.000 0.000 0.000 1
Ag2 0.101 0.205 0.378 1
Te1 0.467 0.328 0.877 1
____________

Reply:
_space_group_name_H-M_alt 'P 1'
_space_group_IT_number 1
_space_group_name_Hall 'P 1'
loop_
_atom_site_label
_atom_site_fract_x
_atom_site_fract_y
_atom_site_fract_z
_atom_site_occupancy
Ag1 0.000 0.000 0.000 1
Ag2 0.101 0.205 0.378 1
Te1 0.467 0.328 0.877 1